
Mysterious mystery of the world


12-14-2013, 07:46 PM

Unrelated to this entry: crystal structures
'''
A plane-wave DFT calculation with PBE-GGA was carried out for an optimized crystal structure of CsI.

Output
total moment	0.000	μB per atom
theoretical density	3592	kg/m³
energy	-21.14	eV for the cell shown

Geometry as CIF:
```
data_CsI
_chemical_formula_sum 'Cs4 I4'
_space_group_name_H-M_alt 'P n m a'
_space_group_IT_number 62
_cell_length_a 5.471
_cell_length_b 5.331
_cell_length_c 16.469
_cell_angle_alpha 90.00
_cell_angle_beta 90.00
_cell_angle_gamma 90.00
loop_
_space_group_symop_operation_xyz
'x,y,z'
'-x,-y,-z'
'-x+1/2,-y,z+1/2'
'x+1/2,y,-z+1/2'
'x+1/2,-y+1/2,-z+1/2'
'-x+1/2,y+1/2,z+1/2'
'-x,y+1/2,-z'
'x,-y+1/2,z'
loop_
_atom_site_label
_atom_site_type_symbol
_atom_site_fract_x
_atom_site_fract_y
_atom_site_fract_z
_atom_site_occupancy
Cs1 Cs 0.039 0.250 0.124 1
I1 I 0.037 0.750 0.375 1
```

=====

Record 1
Density functional theory data (PBE) for an optimized crystal structure of NaCaScZnSi4O12.

Structure (POSCAR):
```
NaCaScZnSi4O12
1.0
9.107 0.000 0.000
0.000 5.361 0.000
0.000 2.558 9.558
Na Ca Sc Zn Si O
2 2 2 2 8 24
Direct
0.553 0.000 0.750
0.447 0.000 0.250
0.050 0.500 0.250
0.950 0.500 0.750
0.646 0.500 0.250
0.354 0.500 0.750
0.152 0.000 0.750
0.848 0.000 0.250
0.841 0.197 0.539
0.841 0.803 0.961
0.339 0.700 0.037
0.159 0.197 0.039
0.339 0.300 0.463
0.159 0.803 0.461
0.661 0.700 0.537
0.661 0.300 0.963
0.766 0.095 0.902
0.997 0.209 0.612
0.836 0.283 0.368
0.260 0.590 0.400
0.836 0.717 0.132
0.497 0.700 0.110
0.234 0.095 0.402
0.997 0.791 0.888
0.335 0.776 0.867
0.003 0.209 0.112
0.766 0.905 0.598
0.164 0.283 0.868
0.335 0.224 0.633
0.740 0.590 0.900
0.497 0.300 0.390
0.164 0.717 0.632
0.503 0.700 0.610
0.260 0.410 0.100
0.003 0.791 0.388
0.665 0.776 0.367
0.234 0.905 0.098
0.665 0.224 0.133
0.503 0.300 0.890
0.740 0.410 0.600
```

Mass density ... 3.4 Mg/m³
Crystal system ... monoclinic
SG ... P2/c, No. 13
Formation energy from the elements ... -3.176 eV per atom

---

Record 2
Density functional theory data (PBE) for an optimized crystal structure of NaCaScZnSi4O12.

Structure (POSCAR):
```
NaCaScZnSi4O12
1.0
-6.166 1.365 2.376
-2.936 -5.389 -2.806
-0.367 -3.360 4.150
Na Ca Sc Zn Si O
1 1 1 1 4 12
Direct
0.302 0.698 0.500
0.700 0.300 0.000
0.102 0.898 0.000
0.901 0.099 0.500
0.802 0.622 0.485
0.378 0.198 0.515
0.198 0.379 0.013
0.621 0.802 0.987
0.666 0.634 0.253
0.366 0.334 0.747
0.338 0.361 0.240
0.639 0.662 0.760
0.884 0.392 0.572
0.608 0.116 0.428
0.111 0.609 0.939
0.391 0.889 0.061
0.965 0.799 0.392
0.201 0.035 0.608
0.031 0.204 0.099
0.796 0.969 0.901
```

Mass density ... 3.4 Mg/m³
Crystal system ... monoclinic
SG ... C2, No. 5
Formation energy from the elements ... -3.176 eV per atom

---

Record 3
Density functional theory data (PBE) for an optimized crystal structure of NaCa9ScZn9Si20O60.

Structure (POSCAR):
```
NaCa9ScZn9Si20O60
1.0
4.495 4.998 0.000
-4.495 4.998 0.000
0.000 2.837 25.526
Na Ca Sc Zn Si O
1 9 1 9 20 60
Direct
0.253 0.747 0.000
0.748 0.459 0.899
0.452 0.947 0.800
0.949 0.651 0.700
0.651 0.149 0.600
'''

The blood was dripping from her soft lips. She tore into the rabbit as if its skin was as soft as butter. She pulled the skin back to expose the luscious muscle and tender tissue. Her paws held the body in place as she pulled the skin from rump to head up to give better access to the good for them to shear. It wasn?t much but it was enough for them to enjoy. She pushed her fangs gently against the rabbit back, pulling at the meat as she listened to the youth out her self down. Her fur bristled with the words and she swallowed her meat to speak.

## Misplaced records of crystals
'''
The following is a DFT calculation (PBE) of a geometry-optimized Na5SnP3 structure.

Cell: 8.351 7.493 15.744 Å, 90.00 121.67 90.00°
Space group P2_1/c (No. 14)
Inequivalent atoms, fractional coordinates:
Na: 0.005 0.160 0.082 x4
Na: 0.093 0.004 0.760 x4
Na: 0.253 0.522 0.088 x4
Na: 0.315 0.642 0.742 x4
Na: 0.412 0.040 0.089 x4
Sn: 0.339 0.147 0.411 x4
P: 0.062 0.232 0.918 x4
P: 0.335 0.702 0.929 x4
P: 0.361 0.245 0.264 x4

Values from the calculation:
energy of formation	-0.364	eV/atom

~~~~~

# 1
Density functional theory data (GGA+U) for a geometry-optimized Li3MnP2O8 structure.

```
56
Lattice="0.000 6.060 0.000 -0.184 0.000 9.479 10.098 0.000 -0.199" Properties=species:S:1:pos:R:3 pbc="T T T"
O 1.020 1.515 8.215
O 8.275 5.775 3.279
O 4.089 4.545 5.854
O 8.184 3.315 8.019
O 6.646 2.760 0.846
O 6.646 0.270 0.846
O 0.366 4.545 3.284
O 5.733 1.515 8.166
O 4.494 1.515 0.846
O 3.359 3.300 3.695
O 1.639 2.745 6.001
O 3.359 5.790 3.695
O 4.402 1.515 5.585
O 5.420 4.545 8.435
O 5.512 4.545 3.695
O 8.803 4.545 5.805
O 0.274 4.545 8.024
O 3.268 5.790 8.434
O 8.275 3.315 3.279
O 1.638 0.285 6.001
O 3.268 3.300 8.434
O 8.184 5.775 8.019
O 9.548 1.515 5.996
O 6.554 2.760 5.586
O 5.825 1.515 3.426
O 9.640 1.515 1.257
O 1.730 0.285 1.262
O 4.181 4.545 1.114
O 8.894 4.545 1.065
O 6.554 0.270 5.586
O 1.111 1.515 3.476
O 1.730 2.745 1.262
P 5.872 1.515 4.940
P 5.964 1.515 0.200
P 4.042 4.545 4.341
P 0.918 1.515 6.639
P 8.904 4.545 7.381
P 8.996 4.545 2.642
P 3.951 4.545 9.080
P 1.010 1.515 1.899
Mn 7.235 4.545 0.001
Mn 7.143 4.545 4.740
Mn 2.771 1.515 4.540
Mn 2.679 1.515 9.280
Li 5.003 3.030 2.270
Li 10.006 0.000 4.541
Li -0.184 0.000 9.479
Li 5.003 0.000 2.270
Li 7.875 1.515 2.329
Li 2.131 4.545 2.212
Li 4.911 3.030 7.010
Li 4.911 6.060 7.010
Li -0.092 3.030 4.740
Li -0.184 3.030 9.479
Li 2.039 4.545 6.951
Li 7.783 1.515 7.069
```

## Properties
Energy of formation in eV/atom: -2.600
Offset from the most stable computed form in meV per atom: 3
Size of the total moment in μB per formula unit: 0.0

=====

# 2
Density functional theory data (GGA+U) for a geometry-optimized YCoO3 structure.

```
20
Lattice="5.297 0.001 0.000 0.001 5.675 0.000 -0.001 0.000 7.478" Properties=species:S:1:pos:R:3 pbc="T T T"
O 1.029 1.085 4.140
O 3.678 1.754 0.401
O 3.677 1.754 3.338
O 0.582 2.659 1.869
O 1.619 3.922 7.077
O 4.715 3.017 5.609
O 1.619 3.922 4.140
O 4.268 4.591 3.338
O 4.268 4.591 0.401
O 3.230 0.180 5.608
O 1.029 1.084 7.077
O 2.067 5.496 1.870
Y 0.113 5.235 5.608
Y 5.184 0.441 1.870
Y 2.536 2.398 5.608
Y 2.761 3.278 1.870
Co 2.648 0.000 3.739
Co 0.000 2.838 3.739
Co 0.000 2.838 0.000
Co 2.648 0.000 0.000
```

## Properties
Energy of formation in eV/atom: -2.605
Space-group type: Pnma, No. 62

~~~~~

# 1
A relaxed structure of LiFePO4, computed with PBE with a Hubbard U.

* offset from the most stable computed form: 99 meV per atom
* E_form: -2382 meV per atom
* E_tot: -6.75 eV/atom

a b c (Å): 13.705 5.109 22.276
angles (deg): 90.00 125.33 90.00
'''

?Weakness is a must from us all you know. It?s what defines us. I enjoy the thrill of battle. The joy of spilling blood and putting those that are below me in their place but just be cause I enjoy such things does not mean I am strong at everything. Your knowledge of herbs is a wonderful skill. Say if I injured myself to the point of severity you could come and fix what was injured. I could not do that on my own. I wouldn?t know the first thing about healing my own wounds. So don?t put yourself down for things you are not able to perform or have no desire for. That?s where others come to help. We are all pieces in a puzzle when it comes to pack life. We all fit where we all belong. And our strength and weakness make us stronger as a unit rather then individuals.? She said with a smile. It was faint. A flicker of her good nature and then gone in an instant. She rarely showed the softer side. Seriousness was demanded of her and she was found of her military discipline.

?I could teach you how to fight. Even just a little knowledge of defense can help you survive. You could maybe teach me about some herbs. Just enough that I could help others enough until we got them to a real healer.? She offered as she took another small mouth full of the rabbit. Her ears perked forward once more as the youth spoke of her parents. Her tail swayed back and forth very slowly in response. She swallowed her mouthful again and licked her lips before speaking once more, ?Epiphron is my aunt. So that makes you my family.? That makes you mine. She thought, and the words of Vyv echoed in her head. Perhaps she felt the same possessiveness when it came to family that her sister did. Maybe not in the same degree but the thoughts were there nonetheless. ?I have come to visit her and my cousin. Perhaps we can convince her to allow you to come with me? maybe to visit your other family and have the opportunity to learn other skills.? She suggested, her tail wagging gently behind her. Was it fate that brought them together? How ironic was it that the first wolf she met on her journey to Seracia was one of her cousins.